New podcast every week
Taking Individual Responsibility
15/08/2024 Duration: 12minWhilst waiting for a guest to arrive, Kim and Fulyana had a discussion about “wearing a mistake”. Both had examples of how much there is to gain by taking individual responsibility to ensure a customer/client negative experience can be turned around. When the guest failed to appear they decided to record their thoughts to share […]
Dalmo Cirne Part 3
05/08/2024 Duration: 17minIn the final part of our conversation with Dalmo Cirne, Kim and Fulyana hear about the options for developing new leaders, whether they are new to the workforce or subject matter experts that are now taking on a management role. We also hear why a someone with such a mathematical mind would pursue the often […]
Dalmo Cirne Part 2
29/07/2024 Duration: 19minIn Part 2 of our discussion with Dalmo Cirne, Kim and Fulyana explore the source of “management streams”, the importance of team core values and the impact of AI as a change agent.
Dalmo Cirne Part 1
23/07/2024 Duration: 16minThis week we begin a three part discussion with Dalmo Cirne about management streams. Do you know the essential roles needed for any team? Can you, as an individual, fill more than one role with your skillset?
Case Study – Unprofessional Peer Behaviour
17/07/2024 Duration: 21minThis week we have a case study submitted by a listener who asks for suggestions on managing a work situation where he feels a peer is exhibiting “unprofessional” behaviour. Kim and Fulyana discuss the particular case study as well as other areas that might be considered “unprofessional” amongst peers in the workplace.
Switching Off Work
08/07/2024 Duration: 13minIn another of our “review” questions from 2017, Kim and Fulyana look at the perennial question of how to “switch off” from thinking about work. Do you really need to? Fulyana’s responses might surprise you!
Working With A Negative Team After Lockdowns
02/07/2024 Duration: 16minAs a follow on from last week’s Case Study and as part of our review series from the 20 questions of 2017, Kim and Fulyana look at how to manage a team that has been brought back in to an office environment. There are so many factors contributing to a cohesive team, if you actually […]
Case Study – Working With A Demotivated Team
25/06/2024 Duration: 12minIn another case study from a listener, Kim and Fulyana look at ways a leader new to a team and an organisation can address the management of that team which appears to be demotivated by constant change and demanding deadlines.
Managing Interruptions
18/06/2024 Duration: 18minWe begin a series of “review” podcasts this week by looking back at some questions from 2017 that we promised to revisit…..and haven’t done so! Today is about managing interruptions, whether they are considered good or bad. Can you clearly identify what an interruption is for you?
Case Study – Why Is My Boss Ignoring Me Now?
11/06/2024This week we have a case study from a listener who is concerned that his relationship with his boss has changed – he is feeling “ignored” in the sense of a marked lessening of interaction. Kim and Fulyana look at not just how this can be addressed but why it might be happening and whether […]
John Pabon Part 3 – 2024
04/06/2024In the final part of our conversation, Kim and Fulyana hear about the value of “material analysis” across the whole of an organisation and how that can incorporate sustainability, in business terms, in areas such as gender/pay equality, transport, logistics and resourcing. We also get a sneak preview of the next book…..
John Pabon Part 2 – 2024
28/05/2024We continue our conversation with John Pabon about sustainability, this week looking at the topic we didn’t have time for in our 2023 discussion – stakeholders. Kim and Fulyana learn about the three rings of stakeholders and why taking time, lots of time, to listen to them, is vital for all areas of business.
John Pabon Part 1 – 2024
20/05/2024 Duration: 16minJohn Pabon returns for another series of 3 podcasts to answer listeners’ questions and talk about sustainability, greenwashing, greenscamming and more. This week Kim and Fulyana present one of the more interesting scenarios sent in by a listener.
John Tarnoff Part 3
22/04/2024 Duration: 16minIn the final part of our discussion with John Tarnoff we learn how to identify our own “superpower” in terms of our careers. Jamie shares his journey to realise his “superpower” and we end by understanding that we are not human “beings” but rather human “becomings”!
John Tarnoff Part 2
- - -
1.
Entry from the OMol25 dataset: 3 unconnected molecules or ions with the total composition C3H13NO3 at a distorted geometry (ωB97M-V/def2-TZVPD).

The geometry in XYZ format:
```
20
Properties=species:S:1:pos:R:3:nbo_charge:R:1
C -1.713 -1.127 -2.205 -0.4646
N -0.337 -0.839 -1.939 -0.1146
C -0.068 -1.276 -0.583 -0.3626
C 1.252 -0.568 0.136 -0.0758
O 1.508 0.805 -0.506 -0.7002
H -2.252 -0.493 -1.458 0.2660
H -1.909 -2.139 -2.107 0.2771
H -1.995 -0.838 -3.204 0.2594
H 0.487 -1.327 -2.373 0.4427
H -0.971 -0.938 0.107 0.2685
H 0.064 -2.381 -0.503 0.2971
H 0.982 -0.207 1.203 0.2189
H 2.112 -1.294 0.229 0.2245
H 0.762 0.978 -1.201 0.4592
H 2.572 3.156 3.014 0.4749
H 1.850 1.881 2.716 0.4466
O 2.674 2.170 3.035 -0.9205
H -2.077 1.496 2.523 0.4844
H -1.050 1.644 1.560 0.4548
O -1.889 1.296 1.558 -0.9357
```

2S+1   2
Charge   +1
Frontier orbital gap (alpha / beta)   10.40 / 4.92 eV
Highest occupied orbital energy (alpha / beta)   -13.980 / -13.980 eV

***

2.
Entry from the OMol25 dataset: 3 unconnected molecules or ions with the total composition C3H13NO3S at a distorted geometry (ωB97M-V/def2-TZVPD).

The geometry in XYZ format:
```
21
Properties=species:S:1:pos:R:3:nbo_charge:R:1
C -0.880 0.963 -0.264 -0.2369
C 0.236 2.020 -0.253 -0.4903
S 1.144 2.284 -1.867 -0.0958
N -0.774 0.181 0.985 -0.6467
C -2.065 -0.411 1.430 0.1015
O -2.281 -1.652 0.787 -0.7396
H -0.798 0.277 -1.125 0.1767
H -1.861 1.415 -0.301 0.1983
H -0.242 2.947 0.055 0.2173
H 1.049 1.772 0.434 0.2239
H 0.317 1.475 -2.572 0.1247
H -0.103 -0.565 0.860 0.3730
H -2.899 0.258 1.196 0.1604
H -1.925 -0.502 2.500 0.1611
H -1.495 -1.972 0.355 0.4745
H 2.540 -2.255 1.613 0.4734
H 2.433 -0.964 0.815 0.4722
O 1.963 -1.503 1.450 -0.9421
H 1.778 -0.483 -2.089 0.4744
H 2.340 -1.887 -2.055 0.4680
O 1.525 -1.395 -1.952 -0.9481
```

Frontier orbital gap   9.35 eV
Highest occupied orbital energy   -9.001 eV

***

3.
Entry from the OMol25 dataset: 5 unconnected molecules or ions with the total composition C3H13NO4 at a distorted geometry (ωB97M-V/def2-TZVPD).

The geometry in XYZ format:
```
21
Properties=species:S:1:pos:R:3:nbo_charge:R:1
C -1.182 0.685 -1.117 -0.0631
C -2.257 1.337 -0.703 -0.4268
C -1.476 -1.603 -1.077 -0.0125
N -0.749 -0.615 -0.813 -0.4498
H -0.386 1.284 -1.545 0.2147
H -3.122 0.912 -0.215 0.2025
H -2.314 2.415 -0.794 0.2100
H -1.144 -2.624 -0.884 0.1681
H -2.516 -1.589 -1.419 0.1566
H -1.503 1.853 2.055 0.4756
H -0.688 0.757 1.261 0.4823
O -1.107 0.981 2.098 -0.9577
H 0.340 -1.450 1.280 0.4860
H 1.512 -2.054 0.577 0.4704
O 1.198 -1.850 1.469 -0.9333
H 3.157 0.486 -0.770 0.4936
H 2.735 -0.705 -1.564 0.4500
O 3.197 0.131 -1.681 -0.9511
H 2.026 1.172 1.727 0.4808
H 2.086 -0.224 1.217 0.4910
O 2.192 0.703 0.900 -0.9873
```

Frontier orbital gap   10.37 eV
Highest occupied orbital energy   -9.999 eV

***

4.
Entry from the OMol25 dataset: 4 unconnected molecules or ions with the total composition C3H13O3S at a distorted geometry (ωB97M-V/def2-TZVPD).

The geometry in XYZ format:
```
20
- - -
15/04/2024 Duration: 19minWe continue our discussion with John Tarnoff and guest host, Jamie Wadley, this week looking at how to plan a career transition later in your working life. There is also talk about whether this transition/change needs to be dramatic, in the sense of a completely new path, or whether it can be a refinement of […]
John Tarnoff Part 1
09/04/2024 Duration: 15minThis week we begin a 3 part discussion with John Tarnoff about career transitioning. Kim is joined by former guest, Jamie Wadley, as a “case study”, given that he has transitioned careers regularly and thrives with each new focus. John Tarnoff is an executive and career transition coach, speaker, and author who helps mid-career professionals […]
Dr Terry Lyles and Steven Bowen Part 3
25/03/2024 Duration: 29minIn the final part of our discussion, Dr Terry Lyles and Steven Bowen look at ways to use their book rather than have it on the shelf as well as sharing stories to show the meaning of being “invaluable”.
Dr Terry Lyles and Steven Bowen – Part 2
18/03/2024 Duration: 23minThis week we begin to explore “Invaluable” and what that means for you. Drawing from a wealth of experience across many varied industries, we hear how the concepts in the book can be implemented in our own work lives as well as recognising what we can achieve by knowing our self worth.
Dr Terry Lyles and Steven Bowen Part 1
12/03/2024 Duration: 05minThis week we have an introduction to our guests, Terry Lyles and Steven Bowen, who will, over the next two weeks, talk about being “Invaluable” which is the title of their recently released book. In this session, they talk about what the word actually means and how it will become important for your transformation and […]
Physical Safety and Communication Challenges
12/02/2024 Duration: 15minAs we continue to wait for approval to air the original recordings of our discussion with a recent guest, Fulyana and Kim have both provided some reflection on the conversation. This time it centres on how physical safety concerns may manifest in other behaviours that you need to manage as well as communication generally within […]